
Monday, September 23, 2013

My first art show!

Well I signed up for an art show in Rochester at the Public Market called the "Artist Row". I had no booth no frames and to honest only a few prints run off. So I had a week and a half to get it all together. 

I used 2x3x8' and PVC pipe to make the structure of the walls and my lovey wife sewed up the cheapish canvas drop cloths into panels with loops for the PVC pipe. Boy did it come out looking good. I then made a quick flip display out of some left over scrap wood and we were ready. 

Home made display booth
Here it is set up at the show!

I had to cut off 10 inches at the back to get it to fit. Also had to trim one of the legs by the steel pole on the right but thank goodness for bungies! 

Here is all the framed artwork that I hung in the booth.

Now I'm ready for any indoor show! 

Friday, June 14, 2013

"Brooklyn Bridge transposed". Image size 13 1/4" by 20 1/4"

So I have been working on a woodblock print of the Brooklyn Bridge. Its been a real bear to get done. All those suspension bridge cables.... UGH.

Here is the final proof.
Second proof of "Brooklyn Bridge transposed". Image size 13 1/4" by 20 1/4"
This is the first proof, I added some KwickWood to the suspension area that was blank on the left of the print and added some lines. It really bothered me.
#Brooklyn Bridge #Print #woodblock 
Paper removed with water and scrub brush, and dried with heater. Now you can see why I use gesso on the MDF. Very easy to see the carved lines and were I will have to do some more work.

"Brooklyn Bridge transposed". Image size 13 1/4" by 20 1/4".

Done carving. Remove paper and proof. 

Been working on for two days on "Brooklyn Bridge transposed". Image size 13 1/4" by 20 1/4". I'm now down to the eye and hand numbing bits where all the wires come together.

Wednesday, May 8, 2013

My new Morgan Line-O-Scribe press. Thanks John!

Last week I went to Canada and picked up a Morgan Line-O-Scribe press!

So my post begging for a cheap proof press worked!

An email showed up from John in Simcoe Ont. Canada. Seems that his Rona store had a 
Morgan Line-O-Scribe tucked away in a storage closet. He needed to make more room for the accounting files. So we agreed on a price and off I went over the border. 3 hours later we had all the goodies loaded into the Tribute and back home I went. 

Got to the US border and .... no duty required! Hot dang. 

So then I needed to make a table to put everything on since the press came with all the type and everything. One of my friends told me via FB that he had his son's old drafting table that they built and did I want it, else it was going out front with the trash. YIKES! 

So out to Albion NY I went and 2 hours later I had a new project.

Table redone, with a drawer to hold all the type furniture etc. Hot dang now I get to get some more paper and off to printing editions we go. 

Here is the new repurposed drafting table 

Did I say that it came with type?

Here I cut a piece of plywood to fit in the press so that my 1/4 inch woodblocks would fit.

Came with ink and a glass plate and stand. Nifty.
After a bit of adjusting .... I got a great print and they are now consistent .

Wednesday, May 1, 2013

Homemade woodblock printing press part 4

Well here is a video of the working press.

Then I carried everything upstairs to the studio.

It took me 2 days of trying every trick in the book to find out that the 80 LB cylinders were not heavy enough to do the job.

The test prints were uneven no matter what I did to adjust for more pressure (move the woodblock plates up).

Got even printing results when I used a thin felt blanket, but the print was to light to be usable.


Back to the drawing board.

Homemade woodblock printing press part 3

Well here is an update on the homemade press.

I designed all the gears, printed them out. Then tacked them to 3/4 inch plywood, drilled holes and then used my band-saw to cut out the teeth. Also did the Rack Gears (flat ones). Then I attached everything together, centered and aligned.

I had to cut out some circular disks to stop the gears from rolling off the table rack gears.

This all worked really well!

Added a handle and it was ready to try.

Friday, April 19, 2013

Homemade woodblock printing press part 2

Well after breakfast this morning I went and checked the glued in plug and found the glued dry. Time to mix up some concrete!

So I got my sawhorses clear and then laid some 2x4's over them and then put the threaded rod with washers and nut into the plug. I then used some silicone sealant to make sure no concrete leaked out the bottom.

Then I stood up both tubes on the 2x4's and then used some clamps to keep the threaded rod from falling through to the floor.

I got out a five gallon plastic bucket and started mixing up small batches of concrete by hand so that I could control the "stiffness" of the concrete. I did not want it too sloppy because that would be too much water and it would take forever to cure.

Tubes ready to be filled.

Here I am getting ready to dump concrete into the first tube. I used a small gardening shovel to get small amounts of the concrete into the tubes.

As the concrete is added I used a small stick to make sure that there were no voids in the concrete and that it was well mixed together. Once the tube was 1/3 filled with concrete I took the clamp off the top of the threaded rod.

Once the tube was filled I trial fitted the remaining end plug and removed a little concrete until the plug fit without any leakage. Then using the remaining washer and 5/8 inch nut I screw it down until it would not go any farther and was quite snug. I then got the square out and using a hammer adjusted the plug until it was square to the sides.  I then did the same to the other tube.

And now we wait till tomorrow when I will start on the gear section of my work.

Thursday, April 18, 2013

Homemade woodblock printing press part 1

So I could not find a old proof press or anything else to do my woodblock prints. Time to make my own press,

Here is the idea that I'm going to work from. Here someone used a length of PVC sewer pipe, make wooden caps for the ends. They attached one of the caps added the 5/8ths threaded rod to hold the ends on. They then stood it on end and filled it with concrete for weight, and added the remaining cap and used the threaded rod and nuts and washers to force the remaining cap into place.

I was going to do the same till I realized that I need a printing bed of 2 feet wide and 4 feet long. That will make this design hard to use since you need to use both hands to push the heavy roller back and forth.

My prints need to be much bigger and I will not be able to use both arms. So... I will do a different design using the same principles, but using gears.

First I must create the heavy cylinder. A neighbor hood friend had some 2 plus feet of 6 inch PVC sewer pipe that he gave me in exchange for a print or two when its all done. Using the band-saw I trimmed them up as square as I could. Table saw was useless at this task.

Then using the ends of the tubes I traced out the plugs that will seal the tubes and keep the concrete all in place. With the band-saw set for a 10 degree angle I cut out the plugs.

Trial fit the plugs on both tubes and matched and numbered the ones that fit the best for both tubes.

Purchased 5/8 inch treaded rod with washers and nuts for this project so now time to find the middle of the plugs and then drill a 5/8 inch hole in each of the plugs.

Calculated crystals, as found in the file
┌──
# 1
Entry from Alexandria: an optimized crystal structure of NaCd6Ag4 (PBE-GGA).

```
NaCd6Ag4
1.0
7.301 -0.205 -0.301
-3.557 6.379 0.301
-3.557 -2.066 6.043
Na Cd Ag
1 6 4
Cartesian
0.000 0.000 0.000 Na
-5.020 4.649 3.385 Cd
-5.020 1.439 5.568 Cd
3.783 0.323 0.475 Cd
1.872 -1.135 2.871 Cd
-0.671 2.012 2.959 Cd
1.872 3.087 0.000 Cd
-3.013 0.438 3.631 Ag
1.968 1.640 2.412 Ag
-3.013 3.216 1.742 Ag
-2.870 3.129 4.602 Ag
```

Values from the calculation:
The calculation puts the total energy at -1.636 eV per atom. For the energy of formation from the pure elements, the calculation gives 0.02 eV per atom. Its total moment is 0.00 μB/f.u.


# 2
Entry from Alexandria: an optimized crystal structure of Pm5Nd3Ga2 (PBE-GGA).

```
Pm5Nd3Ga2
1.0
-2.629 2.499 -2.875
-9.628 -3.758 5.541
0.657 9.128 7.333
Pm Nd Ga
10 6 4
Cartesian
-3.303 1.170 0.313 Pm
-8.297 6.699 9.686 Pm
-10.047 -0.279 5.222 Pm
-1.553 8.148 4.777 Pm
-3.708 5.447 4.401 Pm
-7.892 2.421 5.597 Pm
-6.417 5.573 6.988 Pm
-5.183 2.295 3.011 Pm
-0.986 5.813 2.229 Pm
-6.129 -0.630 1.333 Pm
-2.617 6.327 7.893 Nd
-6.354 -0.957 4.980 Nd
-1.437 2.352 3.359 Nd
-7.534 3.018 9.515 Nd
0.000 0.000 0.000 Nd
-4.486 2.685 6.437 Nd
-0.776 5.225 5.252 Ga
-8.195 0.145 7.621 Ga
-3.547 -0.292 2.991 Ga
-5.424 5.662 9.882 Ga
```

Values from the calculation:
The calculation puts the total energy at -4.552 eV per atom. For the energy of formation from the pure elements, the calculation gives -0.14 eV per atom. Its total moment is 0.00 μB/f.u.


# 3
Entry from Alexandria: an optimized crystal structure of Pr5Ho12Pu (PBE-GGA).

```
Pr5Ho12Pu
1.0
11.390 0.000 0.003
5.695 8.667 0.001
0.040 0.000 5.929
Pr Ho Pu
5 12 1
Cartesian
5.715 0.000 2.966 Pr
5.715 5.688 2.966 Pr
11.411 2.979 2.967 Pr
11.390 5.885 0.003 Pr
5.695 2.782 0.001 Pr
9.526 0.000 2.635 Ho
1.905 0.000 3.298 Ho
7.874 0.000 5.596 Ho
3.557 0.000 0.336 Ho
7.683 5.787 5.675 Ho
15.139 5.787 0.260 Ho
1.988 2.880 5.673 Ho
9.443 2.880 0.259 Ho
7.769 2.855 3.236 Ho
13.464 5.813 3.237 Ho
3.662 2.855 2.697 Ho
9.357 5.813 2.698 Ho
0.000 0.000 0.000 Pu
```

Values from the calculation:
The calculation puts the total energy at -5.058 eV per atom. For the energy of formation from the pure elements, the calculation gives 0.12 eV per atom. Its total moment is 6.60 μB/f.u.


# 4
Entry from Alexandria: an optimized crystal structure of Gd2InPd (PBE-GGA).

```
Gd2InPd
1.0
-2.668 -2.796 0.110
0.397 -3.139 -2.222
3.568 -5.859 5.550
Gd Pd In
2 1 1
Cartesian
0.167 -2.808 0.633 Gd
1.129 -8.986 2.806 Gd
0.000 0.000 0.000 Pd
0.648 -5.897 1.719 In
```

Values from the calculation:
The calculation puts the total energy at -9.518 eV per atom. For the energy of formation from the pure elements, the calculation gives -0.49 eV per atom. Its total moment is 14.37 μB/f.u. The excess energy over the best structure of this formula in the dataset comes out at 0.168 eV/atom.


# 5
Entry from Alexandria: an optimized crystal structure of TiWSeCl2 (PBE-GGA).

```
TiWSeCl2
1.0
-1.659 1.641 -3.992
└──

5/8 inch threaded rod

Drilled holes with my cheap drill press

Then using an industrial glue I started to apply glue to one plug for the first tube and then inserted it.

Tapped it down with a hammer till it was snug and then using a carpenters square I made sure that the plug was 90 degrees flush with the long side of the tube.

You have to use a hammer to set the plug snug and make sure everything is square. Now that that was done I needed to dress the glue clean up and wait till the glue hardens for the next step.

Friday, April 12, 2013

Hot rod pickup trucks in Austin. How Texan can you get?

I think I have a new series of woodcut prints for guys coming out when I get home.

Thursday, April 11, 2013

Update on some of the prints.

I decided to add some color to two of the plane prints. What do you think?

San Jose Mission in San Antonio

Mission shot at San Jose Mission in San Antonio. 

I'm feeling a woodblock print coming on.

Monday, April 1, 2013

Gone for three weeks down south.

Well I needed to refresh and get away from all the snow. So down south we went!

Did the Whiskey tour. That was fun.

Then down to New Orleans for Easter.

Makers Mark Whiskey tour.

Easter Parade in New Orleans

Our Boo all bling'ed out.